We understand that many factors can impact your academic standing.
Academic progress review is the college’s way of ensuring that students meet our minimum academic standards and make timely progress toward degree completion.
What does it mean to be academically dismissed?
The College initiates an academic standing review as soon as the Registrar’s Office completes their end of term grade processing, generally within two weeks of the end of the fall and spring terms. If your GPA indicates that you are academically dismissed, you will receive an email from ADV.acad.standing@purchase.edu to your Purchase email account only.
I just got a notice of Academic Dismissal, what do I do?
First, don’t panic. The first time that you receive a notice of academic dismissal, you have the right to submit an appeal to the Academic Review Committee, which is a group of 5 voting faculty members from across the College along with non-voting support staff from Student Affairs. The Committee is chaired by Jennifer Shingelo, Director of Student Advising and Academic Support (non-voting). If you have questions or concerns about this process, please reach out to Jennifer at 914-251-3990 or ADV.acad.standing@purchase.edu.
Second, understand that this is not a punitive process. We want to ensure that you are able to fully engage in your education here at Purchase without negatively impacting your finanical aid or your GPA. Sometimes, we find that students may be juggling too much (family obligations, work, mental or physical health issues) and need to re-assess whether now is the right time to be in college. The academic dismissal may serve as a “wake up call” which indicates that you may need to take a break and get some extra support before continuing your studies. Your mental, physical, and emotional health need to come first.
Can I take a Leave of Absence to avoid dismissal?
If you received final grades for a semester, College policy dictates that your academic standing still needs to be reviewed, whether you take a leave for an upcoming semester or not. You may still need to submit an appeal for a future semester. You will be notified if this is the case.
How do I appeal?
Instructions and deadlines are stated both in your dismissal letter and will be updated below each semester. Since the academic dismissal process might be challenging for you, we encourage you to read the letter and guidelines very carefully, and several times, so that you don’t miss an important piece of information or react hastily. You will find answers to most or all of your questions within the letter and on this page. See below for tips on answering the appeal questions.
Timeline for Fall 2024 dismissals
Wednesday, December 18, 2024
Grades due to Registrar’s Office
Monday, December 30, 2024
Dismissal notices emailed to students’ Purchase email addresses
Monday, January 6, 2025 at 5pm EST
Written appeals are due via the link below—no late appeals accepted
Thursday, January 9, 2025
Academic Review Committee Meets to review appeals
Monday, January 13, by 5pm EST
Results of Appeals sent to students’ Purchase email addresses
Are you a first year or first-term transfer student at Purchase? Use this link to submit your appeal:
The college will accept only written appeals through the above links (i.e., we do not consider face-to-face or phone appeals). As indicated in your letter, you may submit written documentation that substantiates an extenuating circumstance (e.g. unforeseen personal issue) or letter that supports your academic reinstatement (e.g. from a professor). You are responsible for furnishing any documentation you wish for us to read; please do not provide phone numbers for us to call or indicate support is available upon request. You may upload this documention in the appeal form as indicated.
The Academic Review Committee (ARC) carefully reviews every appeal and determines whether to give a student the opportunity to return on academic probation or to academically dismiss the student from the College. All cases are afforded the same due process and consideration. The terms of academic reinstatement and probation will be included in the reinstatement letter.
The goal of responding to the questions on the appeal form is to communicate the circumstances that contributed to your low GPA this semester and the concrete steps you will take to succeed if you are able to return. To this end, your responses should:
Be clear and coherent
Offer a persuasive reason for you to return
Demonstrate that you have reflected on the reasons for failure, particularly any choices or behaviors that contributed to a poor outcome
Your responses should aim to persuade the committee that you should be readmitted and that, if readmitted, you will have the tools to succeed. To make your case, consider the following:
Read from the committee’s perspective. Your reasons should go beyond what you want or what would benefit you; ask yourself “would this convince my professors that I am serious, ready, and able to succeed?”
Think about what circumstances have contributed to your difficulty with academics.
Think about what behaviors and choices have contributed to your difficulty with academics.
Communicate what changes you will make to your behaviors and choices that will enable you to succeed if you are readmitted. Be specific.
“I will do better” is not convincing. “I will do x, y, and z. I will seek help from ___ resources and hold myself accountable by ___” is more convincing.
Grammar and Mechanics
Use the following resources to maximize readability:
Avoid comma splices and run-on sentences. Instead, consider using a comma and conjunction, using a semi-colon, or creating a new sentence.
Use specific nouns as subjects and objects rather than vague pronouns.
Subjects and verbs should agree in number.
Verbs should be active and tenses should be consistent; past events should be in the past tense, ongoing issues/general facts should be in the present tense, and your plans for the future should be in the future tense.
Revising and Proofreading
It is essential that you revise and proofread your responses before submitting. Revise for content, persuasiveness, and coherence first; then edit and proofread for clarity and errors. Do not submit your first draft.
Proofreading Strategies:
Print out a copy.
Read it out loud to yourself.
Do you run out of breath before the end of the sentence? If so, it is probably a run-on. Add appropriate punctuation (see above) or break into two sentences.
Have someone else read it out loud to you. Follow along and mark confusing parts. Have your reader mark confusing parts as well.
Check your Purchase email account for college notices about the outcome of your academic dismissal review and the relevant dates.
You can reapply to Purchase after one full academic year Readmission is not guaranteed. Read our readmission guidelines for application/forms, deadlines, and requirements.
Reinstatement on Academic Probation is not a guarantee.
**Unrelated to this text: data records:**
+++
Simulated X-ray diffraction stick pattern of Th4Ge6Os7 for Cu Kα (weighted mean of Kα1 and Kα2), from a crystal structure in Alexandria, relaxed with GGA-PBE.
No peak broadening, texture or thermal motion is included.

Crystal structure
a = 8.5608 Å, b = 8.5608 Å, c = 8.5608 Å
α = 90.00°, β = 90.00°, γ = 90.00°
Space group Im-3m (No. 229)
One atom of each set of equivalent atoms:
1 Th 0.2500 0.2500 0.2500 (multiplicity 8)
2 Ge 0.0000 0.0000 0.3168 (multiplicity 12)
3 Os 0.0000 0.0000 0.0000 (multiplicity 2)
4 Os 0.0000 0.2500 0.5000 (multiplicity 12)

Peak list (6 most intense, 15° ≤ 2θ ≤ 90°, by angle)
hkl 2 2 0, 29.5°, I 24
hkl 2 2 2, 36.4°, I 100
hkl 3 2 1, 39.4°, I 31
hkl 4 0 0, 42.2°, I 68
hkl 4 4 0, 61.2°, I 40
hkl 6 2 2, 73.4°, I 32

----------

Computed powder XRD pattern
Compound: Zr2In5Ni
Radiation: copper Kα
Structure: a cell relaxed with GGA-PBE
Neutral-atom scattering factors, no anomalous dispersion.

Cell and atoms:
a b c (Å): 10.168 10.168 6.793
angles (deg): 90.00 90.00 90.00
Element x y z (fractional)
1 Zr 0.162 0.162 0.000
2 Zr 0.199 0.199 0.500
3 Zr 0.301 0.699 0.000
4 Zr 0.338 0.662 0.500
5 Zr 0.662 0.338 0.500
6 Zr 0.699 0.301 0.000
7 Zr 0.801 0.801 0.500
8 Zr 0.838 0.838 0.000
9 In 0.000 0.000 0.298
10 In 0.000 0.000 0.702
11 In 0.058 0.701 0.278
12 In 0.058 0.701 0.722
13 In 0.201 0.442 0.222
14 In 0.201 0.442 0.778
15 In 0.299 0.942 0.278
16 In 0.299 0.942 0.722
17 In 0.442 0.201 0.222
18 In 0.442 0.201 0.778
19 In 0.500 0.500 0.202
20 In 0.500 0.500 0.798
21 In 0.558 0.799 0.222
22 In 0.558 0.799 0.778
23 In 0.701 0.058 0.278
24 In 0.701 0.058 0.722
25 In 0.799 0.558 0.222
26 In 0.799 0.558 0.778
27 In 0.942 0.299 0.278
28 In 0.942 0.299 0.722
29 Ni 0.113 0.887 0.000
30 Ni 0.387 0.387 0.500
31 Ni 0.613 0.613 0.500
32 Ni 0.887 0.113 0.000

Principal peaks in the range 2θ from 5° to 70°, low angle first:
- (3 1 0), d = 3.216 Å, 27.74 deg, I = 19
- (2 0 2), d = 2.823 Å, 31.70 deg, I = 28
- (2 1 2), d = 2.721 Å, 32.91 deg, I = 30
- (4 1 0), d = 2.467 Å, 36.42 deg, I = 100
- (3 3 0), d = 2.397 Å, 37.53 deg, I = 35
- (3 1 2), d = 2.335 Å, 38.56 deg, I = 67
- (3 2 2), d = 2.170 Å, 41.62 deg, I = 39
- (5 5 0), d = 1.438 Å, 64.82 deg, I = 25

----------

# 1
KCrCuF6: computed X-ray powder pattern (Cu Kα X-rays), based on a structure optimized by DFT (PBE+U).
Neutral-atom scattering factors, no anomalous dispersion.

Main lines, by angle (2θ from 10° to 90°):
d [Å], I_rel
5.992, 100
3.190, 64
3.087, 47
3.042, 70
3.020, 45
2.996, 51

Atomic structure:
Lattice parameters (Å, degrees): 7.4291 10.1876 6.8450 90.00 94.12 90.00
Element x y z (fractional)
K 0.2427 0.1153 0.4981
K 0.2427 0.3847 0.9981
K 0.7573 0.6153 0.0019
K 0.7573 0.8847 0.5019
Cr 0.0000 0.0000 0.0000
Cr 0.0000 0.5000 0.5000
Cr 0.5000 0.0000 0.0000
Cr 0.5000 0.5000 0.5000
Cu 0.2550 0.7328 0.8188
Cu 0.2550 0.7672 0.3188
Cu 0.7450 0.2328 0.6812
Cu 0.7450 0.2672 0.1812
F 0.0268 0.1650 0.1352
F 0.0268 0.3350 0.6352
F 0.0771 0.5894 0.7444
F 0.0771 0.9106 0.2444
+++
**End of the data records:**
The ARC very carefully reviews each appeal, and weighs all factors presented.
We do consider extenuating circumstances that mitigate a student’s academic performance, yet we give foremost consideration to two factors:
Your academic history at Purchase College and if relevant, other colleges
Your plan for addressing the issues which prevented your success at Purchase
If the Committee sees evidence of an upward trend in your grades over time, and you have a clear and coherent plan for making positive changes which support your college career, your chances at readmittance are stronger than if you simply state that you will ‘try harder.’
Students on Academic Probation are not eligible for grades of incomplete. Your academic standing will be based solely on your GPA at the end of the semester.
If you are enrolled in summer courses following spring semester, or winter courses following fall semester, in order to raise your GPA, you may remain in them regardless of the outcome of the review.
The Academic Standing Review, however, is based upon your cumulative GPA at the end of the spring and fall semester. Taking summer/winter courses is a privilege, and we do not delay dismissal or reinstatement decisions until summer/winter course grades are finalized.
Likewise, we do not consider your number of summer/winter credits as a grounds for appeal or a guaranteed GPA boost. Stating you are taking a summer/winter course will not help your argument or sway the committee.
If you are dismissed, and your summer/winter grades earned (as a non-matriculated student) happen to raise your cumulative GPA above a 2.0, you may subsequently ask for special permission to continue as a non-matriculated part-time (11 or fewer credits) student for the forthcoming semester. At the conclusion of that full semester, you may apply for readmission if your cumulative GPA remains at least 2.0.